Material >
┌──
No. 1
This record from the OMol25 dataset describes 2 unconnected molecules or ions with the total composition C5H13NO. The level of theory is wB97M-V/def2-TZVPD.

gap between HOMO and LUMO: 9.74 eV
LUMO energy: 0.689 eV
HOMO level: -9.1 eV

Geometry as XYZ:
```
20
Properties=species:S:1:pos:R:3:forces:R:3
C -1.055807 1.088534 0.567419 1.1 -0.3 1.8
C 0.429175 0.759331 0.171570 -0.5 0.6 0.2
C 0.387259 -0.559624 -0.591287 -0.9 -0.5 -0.8
C -0.466636 0.576318 -2.694020 0.4 -0.8 0.2
C -0.373020 -0.524268 -1.948612 3.2 0.3 0.1
N -1.346482 0.526064 1.926364 0.2 0.0 -0.4
H -1.243576 2.152166 0.731016 0.0 0.0 -0.7
H -1.735931 0.653912 -0.158049 -0.1 0.2 0.0
H 1.044680 0.664826 1.071774 -0.3 -0.2 0.1
H 0.897831 1.632844 -0.296858 -0.1 -0.4 -0.7
H 1.316441 -1.166816 -0.650855 -0.1 0.8 -0.4
H -0.260854 -1.241694 -0.028042 -0.1 0.0 0.5
H -0.925871 0.479954 -3.667470 0.2 0.4 -0.2
H 0.151145 1.419978 -2.403686 -1.0 0.6 0.1
H -0.255011 -1.461632 -2.480185 -1.5 -0.5 0.2
H -0.906858 1.160112 2.586135 -0.2 0.0 0.1
H -0.797274 -0.321272 2.050802 -0.2 -0.2 -0.1
H 1.276934 -1.845180 1.302539 -0.1 0.1 0.0
H 2.246384 -2.359527 2.333734 -0.3 0.4 0.1
O 1.617477 -1.634026 2.177710 0.4 -0.6 0.0
```
Forces are in eV/Å.

These are the natural (NBO) partial charges, in e, on atoms 1 to 8: -0.221, -0.447, -0.457, -0.400, -0.182, -0.823, 0.193, 0.196

---

No. 2
This record from the OMol25 dataset describes 2 unconnected molecules or ions with the total composition C25H18N3O3S. The level of theory is wB97M-V/def2-TZVPD.

gap between HOMO and LUMO: 5.42 eV
LUMO energy: 1.640 eV
HOMO level: -3.8 eV
total charge: -1

Geometry as XYZ:
```
50
Properties=species:S:1:pos:R:3:forces:R:3
C -4.619901 2.008742 3.040977 0.5 -0.6 0.2
O -3.996226 0.761379 3.426327 -0.1 0.5 -0.3
C -2.712322 0.511681 3.052702 0.9 0.1 -0.2
C -2.196599 -0.773587 3.371027 -0.8 0.8 -0.2
C -0.898054 -1.092185 3.043033 0.7 0.4 0.0
C -0.026600 -0.121366 2.478744 -1.3 -0.1 -0.2
C 1.395983 -0.378396 2.443499 0.5 1.0 0.3
C 2.286352 0.642725 2.670448 -0.9 -1.1 0.1
C 3.687067 0.448654 2.769224 3.1 -0.4 0.3
N 4.846695 0.361976 2.910072 -2.5 0.3 -0.2
C 1.879171 1.939996 3.111509 -0.6 2.7 0.7
N 1.613761 3.012238 3.504612 0.6 -2.3 -0.8
C -0.594707 1.101809 2.050337 0.6 -0.3 0.2
C -1.890023 1.449126 2.370006 -1.2 -0.6 0.4
H -5.644480 1.905821 3.401907 0.2 0.2 -0.1
H -4.120768 2.865758 3.517054 -0.1 -0.2 -0.1
H -4.614433 2.142704 1.949458 0.0 -0.1 0.3
H -2.865257 -1.477544 3.872183 0.3 0.2 -0.2
H -0.514412 -2.087934 3.270565 0.0 0.3 0.0
H 1.748975 -1.408173 2.369756 0.2 0.2 -0.2
H -0.002699 1.797814 1.454522 -0.1 -0.2 0.3
H -2.281655 2.435936 2.110427 0.2 -0.4 0.0
C 0.328946 -6.521392 1.012200 0.1 -0.1 -0.2
C -0.126618 -5.399562 0.305159 0.3 0.1 0.5
C 0.644605 -4.236375 0.266930 0.2 -0.2 0.1
C 1.925124 -4.194101 0.868598 -0.3 -0.3 0.0
C 2.814105 -3.068578 0.661461 1.2 0.0 -0.1
C 2.453601 -1.982557 -0.150955 0.0 1.1 -0.8
N 2.182788 -1.030525 -0.794642 0.2 -1.4 1.1
S 4.559259 -3.597752 0.625202 -2.2 1.7 -0.8
C 5.365442 -2.349993 -0.387674 0.6 -0.1 -0.1
C 5.880775 -2.707848 -1.636033 -0.3 0.2 -0.1
C 6.500817 -1.731578 -2.421261 0.0 0.0 0.2
C 6.628078 -0.416008 -1.958841 -0.1 -0.3 0.1
C 6.163477 -0.090352 -0.683572 0.0 -0.2 0.0
C 5.567438 -1.069082 0.110820 -0.1 0.1 0.1
O 5.093081 -3.537343 1.958793 0.6 -0.3 0.3
O 4.607256 -4.818626 -0.136339 0.7 -0.6 0.0
C 2.346141 -5.325029 1.618213 -0.4 0.0 0.1
C 1.577085 -6.478665 1.656657 -0.5 0.3 -0.1
H -0.281258 -7.426253 1.061579 0.2 0.2 -0.1
H -1.082786 -5.419713 -0.221890 0.2 0.0 0.2
H 0.295272 -3.342253 -0.255807 0.1 -0.4 0.0
H 5.776235 -3.734541 -1.990145 0.0 0.3 0.1
H 6.891169 -2.019097 -3.397852 -0.1 0.2 0.2
H 7.113817 0.336369 -2.581795 -0.2 -0.2 0.2
H 6.269378 0.917325 -0.280689 0.0 -0.2 -0.2
H 5.264968 -0.836751 1.129586 0.0 -0.1 -0.4
H 3.260736 -5.297753 2.212781 -0.1 0.1 -0.4
H 1.954321 -7.344769 2.203969 -0.2 0.2 -0.1
```
Forces are in eV/Å.
└──

Exercise >
Now restate the calculation results further up from the first line to the one with "2.346141 -5.325029" without altering anything.

Response >
No. 1
This record from the OMol25 dataset describes 2 unconnected molecules or ions with the total composition C5H13NO. The level of theory is wB97M-V/def2-TZVPD.

gap between HOMO and LUMO: 9.74 eV
LUMO energy: 0.689 eV
HOMO level: -9.1 eV

Geometry as XYZ:
```
20
Properties=species:S:1:pos:R:3:forces:R:3
C -1.055807 1.088534 0.567419 1.1 -0.3 1.8
C 0.429175 0.759331 0.171570 -0.5 0.6 0.2
C 0.387259 -0.559624 -0.591287 -0.9 -0.5 -0.8
C -0.466636 0.576318 -2.694020 0.4 -0.8 0.2
C -0.373020 -0.524268 -1.948612 3.2 0.3 0.1
N -1.346482 0.526064 1.926364 0.2 0.0 -0.4
H -1.243576 2.152166 0.731016 0.0 0.0 -0.7
H -1.735931 0.653912 -0.158049 -0.1 0.2 0.0
H 1.044680 0.664826 1.071774 -0.3 -0.2 0.1
H 0.897831 1.632844 -0.296858 -0.1 -0.4 -0.7
H 1.316441 -1.166816 -0.650855 -0.1 0.8 -0.4
H -0.260854 -1.241694 -0.028042 -0.1 0.0 0.5
H -0.925871 0.479954 -3.667470 0.2 0.4 -0.2
H 0.151145 1.419978 -2.403686 -1.0 0.6 0.1
H -0.255011 -1.461632 -2.480185 -1.5 -0.5 0.2
H -0.906858 1.160112 2.586135 -0.2 0.0 0.1
H -0.797274 -0.321272 2.050802 -0.2 -0.2 -0.1
H 1.276934 -1.845180 1.302539 -0.1 0.1 0.0
H 2.246384 -2.359527 2.333734 -0.3 0.4 0.1
O 1.617477 -1.634026 2.177710 0.4 -0.6 0.0
```
Forces are in eV/Å.

These are the natural (NBO) partial charges, in e, on atoms 1 to 8: -0.221, -0.447, -0.457, -0.400, -0.182, -0.823, 0.193, 0.196

---

No. 2
This record from the OMol25 dataset describes 2 unconnected molecules or ions with the total composition C25H18N3O3S. The level of theory is wB97M-V/def2-TZVPD.

gap between HOMO and LUMO: 5.42 eV
LUMO energy: 1.640 eV
HOMO level: -3.8 eV
total charge: -1

Geometry as XYZ:
```
50
Properties=species:S:1:pos:R:3:forces:R:3
C -4.619901 2.008742 3.040977 0.5 -0.6 0.2
O -3.996226 0.761379 3.426327 -0.1 0.5 -0.3
C -2.712322 0.511681 3.052702 0.9 0.1 -0.2
C -2.196599 -0.773587 3.371027 -0.8 0.8 -0.2
C -0.898054 -1.092185 3.043033 0.7 0.4 0.0
C -0.026600 -0.121366 2.478744 -1.3 -0.1 -0.2
C 1.395983 -0.378396 2.443499 0.5 1.0 0.3
C 2.286352 0.642725 2.670448 -0.9 -1.1 0.1
C 3.687067 0.448654 2.769224 3.1 -0.4 0.3
N 4.846695 0.361976 2.910072 -2.5 0.3 -0.2
C 1.879171 1.939996 3.111509 -0.6 2.7 0.7
N 1.613761 3.012238 3.504612 0.6 -2.3 -0.8
C -0.594707 1.101809 2.050337 0.6 -0.3 0.2
C -1.890023 1.449126 2.370006 -1.2 -0.6 0.4
H -5.644480 1.905821 3.401907 0.2 0.2 -0.1
H -4.120768 2.865758 3.517054 -0.1 -0.2 -0.1
H -4.614433 2.142704 1.949458 0.0 -0.1 0.3
H -2.865257 -1.477544 3.872183 0.3 0.2 -0.2
H -0.514412 -2.087934 3.270565 0.0 0.3 0.0
H 1.748975 -1.408173 2.369756 0.2 0.2 -0.2
H -0.002699 1.797814 1.454522 -0.1 -0.2 0.3
H -2.281655 2.435936 2.110427 0.2 -0.4 0.0
C 0.328946 -6.521392 1.012200 0.1 -0.1 -0.2
C -0.126618 -5.399562 0.305159 0.3 0.1 0.5
C 0.644605 -4.236375 0.266930 0.2 -0.2 0.1
C 1.925124 -4.194101 0.868598 -0.3 -0.3 0.0
C 2.814105 -3.068578 0.661461 1.2 0.0 -0.1
C 2.453601 -1.982557 -0.150955 0.0 1.1 -0.8
N 2.182788 -1.030525 -0.794642 0.2 -1.4 1.1
S 4.559259 -3.597752 0.625202 -2.2 1.7 -0.8
C 5.365442 -2.349993 -0.387674 0.6 -0.1 -0.1
C 5.880775 -2.707848 -1.636033 -0.3 0.2 -0.1
C 6.500817 -1.731578 -2.421261 0.0 0.0 0.2
C 6.628078 -0.416008 -1.958841 -0.1 -0.3 0.1
C 6.163477 -0.090352 -0.683572 0.0 -0.2 0.0
C 5.567438 -1.069082 0.110820 -0.1 0.1 0.1
O 5.093081 -3.537343 1.958793 0.6 -0.3 0.3
O 4.607256 -4.818626 -0.136339 0.7 -0.6 0.0
C 2.346141 -5.325029 1.618213 -0.4 0.0 0.1